- three axle truck 三轴转向架
- Tubes are generally mounted on truck trailer chassis, railroad car beds, or placed at stationary locations when large amounts of helium are needed. 管道一般是安装在拖车底盘或有轨车底座上,或者当需要大量氦时放置在固定位置。
- Finally use the dynamic three axle shear test to research impulsive load function under red clay mechanics and distortion characteristic. 最后通过动力三轴试验仪研究冲击荷载作用下红粘土的力学和变形特性。
- First, use the he red clay original condition and the rebuilding condition separately to carry on the single axle solidifying compression test and the three axle shear test. 首先,分别对红粘土原状样和重塑样进行单轴固结压缩试验和三轴剪切试验。
- The acoustic emission characteristics of sandstone under fracturing are studied by simulating the stress state of the tunnel enclosing rock using the real three axle press. 使用真三轴压机模拟巷道围岩的受力状态,研究了砂岩破坏过程中的声发射特性。
== These records of crystals were left in the text by mistake ==
- - -
Entry 1:
The following is a PBE-GGA calculation of a relaxed structure of Hf4Sc2In3N3, from the Open Quantum Materials Database.

Lattice parameters (Å, degrees): 5.6774 5.6774 14.9583 100.97 100.97 60.02
Last column: nearest neighbours and their distance in Å.
Sites, in units of the cell vectors:
N  0.8379  0.3311  0.5000  4 Hf 2.22-2.23, 2 Sc 2.26
Hf  0.0234  0.1973  0.0811  3 N 2.22-2.23
N  0.6689  0.1621  0.0000  4 Hf 2.22-2.23, 2 Sc 2.26
Hf  0.8027  0.9766  0.4189  3 N 2.22-2.23
In  0.9201  0.0799  0.7500  2 Sc 3.10, 4 Hf 3.11, 6 In 3.26-3.31
Hf  0.9766  0.8027  0.9189  3 N 2.22-2.23
Hf  0.1431  0.3063  0.4189  3 N 2.22-2.23
Hf  0.3063  0.1430  0.9189  3 N 2.22-2.23
Hf  0.6937  0.8570  0.0811  3 N 2.22-2.23
N  0.3311  0.8379  0.0000  4 Hf 2.22-2.23, 2 Sc 2.26
Sc  0.4718  0.6352  0.4166  3 N 2.26-2.27
In  0.7535  0.5836  0.2508  2 Sc 3.09, 4 Hf 3.10, 6 In 3.26-3.31
Hf  0.1973  0.0234  0.5811  3 N 2.22-2.23
N  0.1621  0.6689  0.5000  4 Hf 2.22-2.23, 2 Sc 2.26
In  0.0799  0.9201  0.2500  2 Sc 3.10, 4 Hf 3.11, 6 In 3.26-3.31
N  0.5000  0.0000  0.5000  4 Hf 2.22, 2 Sc 2.27
Hf  0.8570  0.6937  0.5811  3 N 2.22-2.23
In  0.4164  0.2465  0.2492  2 Sc 3.09, 4 Hf 3.10, 6 In 3.26-3.31
Sc  0.3648  0.5282  0.0834  3 N 2.26-2.27
Sc  0.5282  0.3648  0.5834  3 N 2.26-2.27
Sc  0.6352  0.4718  0.9166  3 N 2.26-2.27
In  0.5836  0.7535  0.7508  2 Sc 3.09, 4 Hf 3.10, 6 In 3.26-3.31
In  0.2465  0.4164  0.7492  2 Sc 3.09, 4 Hf 3.10, 6 In 3.26-3.31
N  0.0000  0.5000  0.0000  4 Hf 2.22, 2 Sc 2.27

Properties
Symmetry: C2/c (15)

Entry 2:
The following is a PBE-GGA calculation of a relaxed structure of Hf4InSiN2, from the Open Quantum Materials Database.

Lattice parameters (Å, degrees): 3.2275 3.2275 14.0452 90.00 90.00 120.00
Last column: nearest neighbours and their distance in Å.
Sites, in units of the cell vectors:
Si  0.3333  0.6667  0.5000  6 Hf 2.77
Hf  0.3333  0.6667  0.1748  3 N 2.24
N  0.6667  0.3333  0.2630  6 Hf 2.24-2.26
In  0.0000  0.0000  0.0000  6 Hf 3.08, 6 In 3.23
Hf  0.0000  0.0000  0.6463  3 N 2.26
N  0.6667  0.3333  0.7370  6 Hf 2.24-2.26
Hf  0.3333  0.6667  0.8252  3 N 2.24
Hf  0.0000  0.0000  0.3537  3 N 2.26

Properties
Symmetry: P-6m2 (187)

Entry 3:
The following is a PBE-GGA calculation of a relaxed structure of Hf4Ta2In3N3, from the Open Quantum Materials Database.

Lattice parameters (Å, degrees): 5.5353 5.5353 15.0564 100.55 100.55 60.11
Last column: nearest neighbours and their distance in Å.
Sites, in units of the cell vectors:
In  0.9052  0.0948  0.7500  4 Hf 3.06, 2 Ta 3.07, 6 In 3.08-3.26
N  0.3303  0.8398  0.0000  2 Ta 2.21-2.22, 4 Hf 2.22-2.23
In  0.4157  0.2632  0.2494  2 Ta 3.05, 4 Hf 3.06-3.07, 6 In 3.07-3.26
Hf  0.3047  0.1396  0.9141  3 N 2.22-2.24
Hf  0.9732  0.8031  0.9141  3 N 2.23
N  0.1602  0.6697  0.5000  2 Ta 2.21-2.22, 4 Hf 2.22-2.23
Hf  0.0268  0.1969  0.0859  3 N 2.23
Ta  0.4729  0.6369  0.4190  3 N 2.21-2.22
In  0.7368  0.5843  0.2506  2 Ta 3.05, 4 Hf 3.06-3.07, 6 In 3.07-3.26
- - -
- Abstract: The general layout, main technical parameters and structure features of the three axle bogies used in AC-DC-AC diesel locomotives were briefly described. 摘 要: 简要介绍了交直交传动内燃机车用三轴转向架的总体布置、主要技术参数及结构特点。
- TTMA Truck Trailer Manufacturers Association 美国卡车拖车制造商协会美国药典委员会
- Truck Trailer Manufacturer Association 载重挂车制造商协会
- Truck trailers, for example, are loaded on flatcars and transported by rail to their destination, where a tractor hitches up to the trailer and speeds the goods on to another point. 例如;将卡车的拖车装在平板火车上;由铁路运到目的地;然后再将拖车挂在牵引车上;迅速地把货物运到别的地点去.
- three axle trailer 三轴拖车
- Finite Element Anlysis of the Strength of a Heavy Transport Truck Trailer Frame 重型半挂车车架有限元分析
- The machine has both high and low speed three axles scraper, it can widely apply in high viscosity coating , organic silica gel, printing ink, dye and stick colloid. 该设备有高速、低速活动刮板三轴,广泛应用于高粘度涂料、有机硅胶、油墨、染料、粘胶剂.
- By or relating to a method of transportation in which truck trailers are carried on trains, or cars on specially designed trucks. 背负,肩扛运输的一种方式,其中货车挂车载在火车上,或卡车载在特殊设计的货车上;或与之有关的
- The MAL3600 aluminum service module is designed to maximize the payload capacity for tandem rear axle trucks without the need for lift or tag axles while maintaining a manageable overall length. MAL3600铝制服务模块服务车是一款设计有最大有效载荷无需起重机或连接轴承的卡车,也是易于维修保养的超长车.
- He trudge three hour in the snow to get back home. 他在雪中跋涉三个钟点才回到家。
- By or relating to a method of transportation in which truck trailers are carried on trains,or cars on specially designed trucks. 背负,肩扛运输的一种方式,其中货车挂车载在火车上,或卡车载在特殊设计的货车上;或与之有关的
- Fiber optical gyros detects rotation of stable platform around the three axles, and PC/104 control computer analyses the gyro signals and get Servo motors working to compensate carrier &motion. 光纤陀螺仪感知稳定平台3轴转动扰动。PC/104控制计算机分析光纤陀螺仪的信号控制伺服电机运转补偿载体的扰动信号。
- Three workers lifted the heavy box from the truck. 三个工人把沉重的箱子从卡车上搬了下来。
- Our family reunions are always three ring circus. 我家合家团聚的场面总是热闹非凡。
- The train arrived on the dot of three o'clock. 那辆火车三点钟准时到达。